Given:
-- begin --
The following is a DFT calculation (GGA-PBE) of an optimized crystal structure of SrCaNb2Se.

a = 4.9811 Å, b = 5.6350 Å, c = 4.9811 Å
α = 90.00°, β = 90.00°, γ = 90.00°
Last column: nearest neighbours and their distance in Å.
Element x y z (fractional)
1 Nb 0.0000 0.0000 0.5000  2 Ca 2.49
2 Nb 0.5000 0.0000 0.0000  2 Ca 2.49
3 Ca 0.0000 0.0000 0.0000  4 Nb 2.49
4 Sr 0.5000 0.5000 0.5000  4 Se 3.52, 8 Nb 3.76
5 Se 0.0000 0.5000 0.0000  2 Ca 2.82

Energy relative to the elements, uncorrected in eV/atom: 1.30
V in Å³/atom: 28.0

* * * * *

[1]
Entry from the Alexandria database: a relaxed structure of LiMgAs2Br (PBEsol).

Computed properties:
Mass density   3.24 Mg/m³
E_tot   -15.3 eV per cell
Density of states at the Fermi level   0.779 states/eV/atom
ΔE_f (raw)   89 meV/atom
Magnetic moment   0.0 μB per formula unit
Space-group type   P4/mmm

Lattice parameters (Å, degrees): 4.922 4.922 5.518 90.00 90.00 90.00
Atoms (fractional coordinates):
Mg 0.000 0.000 0.000
As 0.000 0.500 0.000
As 0.500 0.000 0.000
Li 0.500 0.500 0.500
Br 0.000 0.000 0.500

[2]
Entry from the Alexandria database: a relaxed structure of LiAsPtBr2 (PBEsol).

Computed properties:
Mass density   7.35 Mg/m³
E_tot   -14.8 eV per cell
Density of states at the Fermi level   1.130 states/eV/atom
ΔE_f (raw)   590 meV/atom
Magnetic moment   0.0 μB per formula unit
Space-group type   P4/mmm

Lattice parameters (Å, degrees): 4.554 4.554 4.758 90.00 90.00 90.00
Atoms (fractional coordinates):
Pt 0.500 0.500 0.500
Br 0.000 0.500 0.000
As 0.000 0.000 0.500
Br 0.500 0.000 0.000
Li 0.000 0.000 0.000

> Which value of ΔE_f (raw) does entry 2 give?

590 meV/atom

> Which value of E_tot does entry 2 give?

-14.8 eV per cell

Repeat the first record exactly.
Entry from the Alexandria database: a relaxed structure of LiMgAs2Br (PBEsol).

Computed properties:
Mass density   3.24 Mg/m³
E_tot   -15.3 eV per cell
Density of states at the Fermi level   0.779 states/eV/atom
ΔE_f (raw)   89 meV/atom
Magnetic moment   0.0 μB per formula unit
Space-group type   P4/mmm

Lattice parameters (Å, degrees): 4.922 4.922 5.518 90.00 90.00 90.00
Atoms (fractional coordinates):
Mg 0.000 0.000 0.000
-- stop --

Wanted:
Could you print all of the lines further up character by character?

Outcome:
The following is a DFT calculation (GGA-PBE) of an optimized crystal structure of SrCaNb2Se.

a = 4.9811 Å, b = 5.6350 Å, c = 4.9811 Å
α = 90.00°, β = 90.00°, γ = 90.00°
Last column: nearest neighbours and their distance in Å.
Element x y z (fractional)
1 Nb 0.0000 0.0000 0.5000  2 Ca 2.49
2 Nb 0.5000 0.0000 0.0000  2 Ca 2.49
3 Ca 0.0000 0.0000 0.0000  4 Nb 2.49
4 Sr 0.5000 0.5000 0.5000  4 Se 3.52, 8 Nb 3.76
5 Se 0.0000 0.5000 0.0000  2 Ca 2.82

Energy relative to the elements, uncorrected in eV/atom: 1.30
V in Å³/atom: 28.0

* * * * *

[1]
Entry from the Alexandria database: a relaxed structure of LiMgAs2Br (PBEsol).

Computed properties:
Mass density   3.24 Mg/m³
E_tot   -15.3 eV per cell
Density of states at the Fermi level   0.779 states/eV/atom
ΔE_f (raw)   89 meV/atom
Magnetic moment   0.0 μB per formula unit
Space-group type   P4/mmm

Lattice parameters (Å, degrees): 4.922 4.922 5.518 90.00 90.00 90.00
Atoms (fractional coordinates):
Mg 0.000 0.000 0.000
As 0.000 0.500 0.000
As 0.500 0.000 0.000
Li 0.500 0.500 0.500
Br 0.000 0.000 0.500

[2]
Entry from the Alexandria database: a relaxed structure of LiAsPtBr2 (PBEsol).

Computed properties:
Mass density   7.35 Mg/m³
E_tot   -14.8 eV per cell
Density of states at the Fermi level   1.130 states/eV/atom
ΔE_f (raw)   590 meV/atom
Magnetic moment   0.0 μB per formula unit
Space-group type   P4/mmm

Lattice parameters (Å, degrees): 4.554 4.554 4.758 90.00 90.00 90.00
Atoms (fractional coordinates):
Pt 0.500 0.500 0.500
Br 0.000 0.500 0.000
As 0.000 0.000 0.500
Br 0.500 0.000 0.000
Li 0.000 0.000 0.000

> Which value of ΔE_f (raw) does entry 2 give?

590 meV/atom

> Which value of E_tot does entry 2 give?

-14.8 eV per cell

Repeat the first record exactly.
Entry from the Alexandria database: a relaxed structure of LiMgAs2Br (PBEsol).

Computed properties:
Mass density   3.24 Mg/m³
E_tot   -15.3 eV per cell
Density of states at the Fermi level   0.779 states/eV/atom
ΔE_f (raw)   89 meV/atom
Magnetic moment   0.0 μB per formula unit
Space-group type   P4/mmm

Lattice parameters (Å, degrees): 4.922 4.922 5.518 90.00 90.00 90.00
Atoms (fractional coordinates):
Mg 0.000 0.000 0.000